~~~
Theoretical PXRD pattern of Ti2Zn4In for Cu Kα (weighted mean of Kα1 and Kα2), from the GGA-PBE geometry in Alexandria.
Peak positions follow from Bragg's law for the DFT cell and can differ from measured ones.

Cell and atoms:
Unit cell a=6.9717 b=5.7709 c=5.2703 alpha=78.17 beta=54.11 gamma=47.72
Element x y z (fractional)
Ti 0.1922 0.8078 0.1922
Ti 0.8078 0.1922 0.8078
Zn 0.1945 0.1945 0.8055
Zn 0.2500 0.2500 0.2500
Zn 0.7500 0.7500 0.7500
Zn 0.8055 0.8055 0.1945
In 0.5000 0.5000 0.5000

Largest 8 diffraction maxima, in order of rising 2θ, 10 to 90 degrees two-theta:
2θ (°), I_rel
32.89, 88
34.48, 65
35.19, 40
38.81, 56
40.05, 35
41.04, 62
43.17, 100
44.74, 36

---

Theoretical PXRD pattern of Zr3TiIn4 for Cu Kα (weighted mean of Kα1 and Kα2), from the GGA-PBE geometry in Alexandria.
Peak positions follow from Bragg's law for the DFT cell and can differ from measured ones.

Cell and atoms:
Unit cell a=3.7599 b=3.7599 c=12.2803 alpha=90.00 beta=90.00 gamma=90.00
Element x y z (fractional)
Zr 0.0000 0.0000 0.0000
Zr 0.0000 0.0000 0.2553
Zr 0.0000 0.0000 0.7447
Ti 0.0000 0.0000 0.5000
In 0.5000 0.5000 0.1265
In 0.5000 0.5000 0.3819
In 0.5000 0.5000 0.6181
In 0.5000 0.5000 0.8735

Largest 8 diffraction maxima, in order of rising 2θ, 10 to 90 degrees two-theta:
2θ (°), I_rel
33.71, 70
37.83, 100
48.42, 24
60.29, 6
63.03, 42
70.89, 22
80.84, 20
83.27, 10

---

Theoretical PXRD pattern of ZrTi2In2 for Cu Kα (weighted mean of Kα1 and Kα2), from the GGA-PBE geometry in Alexandria.
Peak positions follow from Bragg's law for the DFT cell and can differ from measured ones.

Cell and atoms:
Unit cell a=2.9808 b=22.8786 c=3.0047 alpha=90.00 beta=90.00 gamma=90.00
Element x y z (fractional)
Zr 0.0000 0.0000 0.0000
Zr 0.5000 0.5000 0.0000
Ti 0.0000 0.1998 0.0000
Ti 0.0000 0.8002 0.0000
Ti 0.5000 0.3002 0.0000
Ti 0.5000 0.6998 0.0000
In 0.0000 0.3961 0.5000
In 0.0000 0.6039 0.5000
In 0.5000 0.1039 0.5000
In 0.5000 0.8961 0.5000

Largest 8 diffraction maxima, in order of rising 2θ, 10 to 90 degrees two-theta:
2θ (°), I_rel
33.69, 71
35.96, 100
38.13, 40
39.38, 38
42.92, 65
56.59, 33
62.63, 15
73.57, 23


No. 1
NaMgMn4O8: simulated X-ray diffraction stick pattern (CuKα), based on a crystal structure in the Materials Project, relaxed with GGA+U.

Main lines, most intense first (2θ = 15–90°):
Position (°2θ), intensity
17.44, 100
42.04, 63
40.90, 34
34.84, 19
60.42, 18
59.77, 17
36.21, 15
17.67, 12

```
NaMgMn4O8
1.0
5.347 -3.000 0.000
5.347 3.000 0.000
-3.480 0.000 5.086
Na Mg Mn O
1 1 4 8
Cartesian
0.000 0.000 0.000
5.347 0.000 0.000
-1.740 0.000 2.543
0.933 1.500 2.543
0.933 -1.500 2.543
3.607 0.000 2.543
2.592 1.364 3.584
1.633 0.000 1.513
0.238 0.000 3.617
4.622 1.364 1.502
2.592 -1.364 3.584
6.976 0.000 1.469
5.581 0.000 3.573
4.622 -1.364 1.502
```

---

No. 2
La3FeO6: simulated X-ray diffraction stick pattern (CuKα), based on a crystal structure in the Materials Project, relaxed with GGA+U.

Main lines, most intense first (2θ = 15–90°):
Position (°2θ), intensity
28.73, 100
28.99, 37
43.35, 23
43.89, 20
47.98, 19
31.18, 19
56.30, 16
29.35, 15

```
La3FeO6
1.0
4.722 -5.938 0.000
4.722 5.938 0.000
0.000 0.000 5.737
La Fe O
6 2 12
Cartesian
4.722 4.692 2.869
2.888 1.274 3.081
2.888 -1.274 0.212
6.556 1.274 3.081
6.556 -1.274 0.212
4.722 -4.692 0.000
4.722 2.279 0.415
4.722 -2.279 3.284
3.278 3.098 1.381
1.506 0.136 1.558
1.506 -0.136 4.427
4.722 2.546 4.257
6.167 3.098 1.381
4.722 0.524 1.168
4.722 -0.524 4.037
3.278 -3.098 4.250
4.722 -2.546 1.388
7.939 0.136 1.558
7.939 -0.136 4.427
6.167 -3.098 4.250
```

---

No. 3
Li9Co7O16: simulated X-ray diffraction stick pattern (CuKα), based on a crystal structure in the Materials Project, relaxed with GGA+U.

Main lines, most intense first (2θ = 15–90°):
Position (°2θ), intensity
18.49, 100
43.48, 27
44.18, 26
44.43, 25
36.02, 14
63.99, 14
36.48, 14
36.65, 13

```
Li9Co7O16
1.0
5.003 0.000 0.000
-1.733 7.473 0.000
-1.563 -1.421 7.447
Li Co O
9 7 16
Cartesian
0.000 0.000 0.000
3.399 0.740 5.636
~~~
Say how many lines of the data further above hold the word "mean", as a bare number.
3